The concept of the consumer-driven economy is everywhere. We are told a consumer-driven recovery is going to turn our economy around. Consumer-driven health care was supposed to drive down medical costs.
Yet the real power of consumers is generally ignored by those proposing government solutions to problems.
This is evident in the current sunset review of the Texas Department of Insurance (TDI) and Public Utility Commission (PUC) taking place in Austin. The sunset review process is supposed to find ways to make government more efficient. Instead, it has turned into yet another way to reduce consumer welfare in the marketplace.
Take the homeowners insurance market. If consumers don’t like the prices and products offered by one company in this competitive market they can easily switch to another.
But many “consumer advocates” want to use the sunset process to implement a system of prior approval for homeowners insurance. Put another way, consumers wouldn’t be able to buy homeowners insurance until TDI gives its permission.
The Texas electricity market is even more competitive than the insurance market.
The problem, however, is that the price of electricity is loaded up with government fees, taxes, and mandates that make electricity more expensive.
Franchise fees are one example. The average household pays around $154 a year in franchise fees on electricity, cable, telephone, and gas bills – for an annual cost to Texas consumers of more than $400 million.
Electricity prices also contain subsidies for wind energy producers and energy efficiency programs – the annual price tag for these will likely top $1 billion in the near future.
Recommendations made in the Texas Sunset Advisory Commission’s Staff Report would further increase electricity prices.
One recommendation calls for the PUC to have the ability to order a generator to reimburse electricity buyers if it has used “market power” to manipulate electricity prices.
This concept of restitution may sound consumer friendly, but it is not.
There have been no alleged instances of market power abuse in years in this heavily monitored market. So what this recommendation will result in is that large users of electricity (industrial, commercial, and municipal users) will use restitution to try to get cheaper electricity through the PUC than they can in the marketplace.
Generators facing this regulatory risk will build it into their pricing. So consumers will be subjected to higher prices as large companies or municipalities haggle over electricity prices at the PUC.
Records of molecules, as found in the file:
- - -
25
Properties=species:S:1:pos:R:3 method="wB97M-V/def2-TZVPD" total_charge=+1 spin_multiplicity=5 lumo_energy_ev="-3.982 / -3.806" orbital_gap_ev="7.752 / 7.944"
Pm -0.06 0.34 0.13
F 2.48 0.16 4.82
C 3.63 -0.02 4.18
F 4.46 0.96 4.55
F 4.16 -1.18 4.61
C 3.51 -0.05 2.66
C 4.72 -0.02 1.98
C 4.75 -0.04 0.60
C 3.55 -0.08 -0.07
N 2.38 -0.13 0.58
C 2.32 -0.12 1.93
S 0.70 -0.21 2.63
H 5.64 0.02 2.55
H 5.69 -0.01 0.05
H 3.51 -0.08 -1.15
C -5.18 -0.12 0.03
C -3.73 -0.13 0.07
N -2.58 -0.16 0.11
H -5.51 0.01 -1.00
H -5.55 0.71 0.63
H -5.56 -1.05 0.43
C 0.03 2.77 -0.16
H 0.72 3.11 0.62
H -0.94 3.21 0.07
H 0.37 3.18 -1.11

* * * * *

# 1
# C6H10BrN4

The ion C6H10BrN4 with charge +1 at a distorted geometry (ωB97M-V/def2-TZVPD, the Open Molecules 2025 dataset).

The geometry in XYZ format:
```
21
Properties=species:S:1:pos:R:3:forces:R:3
C -0.89079 -1.24624 -0.72273 0.996 2.912 2.751
C -2.12886 -0.70159 -1.08327 1.322 1.309 -0.891
C -0.31713 -0.14493 0.06448 -0.068 -4.899 -2.011
C 1.68633 0.78712 1.01585 0.136 -3.986 1.341
C -3.02627 -1.36381 -1.99192 -5.082 -0.441 -0.296
C 2.90089 0.46131 1.85180 -0.194 1.104 -2.622
N -2.22964 0.60935 -0.75916 0.153 -1.133 -0.227
N -1.10098 0.87306 -0.07930 -1.528 4.179 1.272
N 1.63690 1.91137 0.43886 -1.556 3.186 -2.364
N 0.78674 -0.19999 0.87850 2.416 -0.433 1.738
Br -0.12968 -2.92400 -0.97528 -0.128 0.170 0.110
H -2.58618 -2.20533 -2.49917 0.354 -0.055 -0.303
H -3.91719 -1.86646 -1.36071 1.791 1.100 -1.329
H -3.58238 -0.65905 -2.74738 1.321 -1.274 1.492
H 2.58758 0.37050 2.84852 0.045 -0.393 1.483
H 3.33095 -0.41269 1.36858 0.223 -0.297 0.597
H 3.57889 1.30445 1.67931 0.197 -0.374 0.654
H -1.00260 1.84532 0.36883 -0.617 -2.348 -0.817
H 2.50002 2.44567 0.50560 -0.712 0.431 -0.285
H 0.82111 2.22654 -0.18173 2.099 -0.622 1.039
H 1.08230 -1.11061 1.38030 -1.168 1.861 -1.334
```
Forces are in eV/Å.

Summary:
- SMILES = C/C(N)=[NH+]/c1[nH]nc(C)c1Br
- E_LUMO (eV) = -3.615
- Kohn-Sham gap (Ha) = 0.3191
- energy relative to the best compared isomer or geometry (same formula, charge and spin) (eV) = 0.000
- net charge = +1

These are the Löwdin partial charges, in e, on atoms 1 to 2: -0.585 -0.404


# 2
# C4H11NO2

A structure of composition C4H11NO2 at a distorted geometry (ωB97M-V/def2-TZVPD, the Open Molecules 2025 dataset).

The geometry in XYZ format:
```
18
Properties=species:S:1:pos:R:3:forces:R:3
C -0.49431 -0.85686 -0.71077 0.061 0.090 0.166
C -0.07154 -2.26478 -0.31803 0.035 0.179 -0.010
N 0.61783 0.12743 -0.45025 -0.965 1.627 1.283
O 1.65300 -0.08589 -1.10001 -0.157 0.230 0.513
H -0.69907 -0.80470 -1.78216 0.097 0.075 0.074
H -1.35847 -0.50708 -0.14900 -0.013 0.019 0.025
H 0.01554 -2.36964 0.76261 0.014 0.003 0.014
H 0.88486 -2.50514 -0.78102 -0.023 -0.006 0.013
H -0.81443 -2.98078 -0.66636 -0.033 0.019 -0.004
C 0.88463 0.44080 1.37300 0.976 -1.724 -1.667
C -0.84664 2.23383 -0.19117 -1.093 0.192 2.314
O -0.99067 1.84404 1.02166 -0.235 0.912 -1.843
H -0.26285 3.15253 -0.37476 0.232 -0.225 -0.159
- - -
The Staff Report also recommended a new licensing scheme for electric – and telecommunications – companies that do business at the PUC, along with a new fee. Yet these companies and their customers already pay fees of more than $60 million a year that more than cover the $14 million annual cost of running the PUC.
• Someone pasted records of molecules at this point:
- - -
Density functional theory data (ωB97M-V/def2-TZVPD) for C5H7NO3 in the gas phase.

Cartesian coordinates (Å):
N1 -2.388 -0.463 0.798
C1 -1.490 0.169 1.553
O1 -1.735 1.341 1.868
C2 -0.021 -0.302 1.541
O2 0.699 0.508 2.427
C3 0.560 -0.308 0.191
C4 1.039 -0.323 -0.921
C5 1.615 -0.318 -2.274
O3 1.278 0.827 -3.024
H1 -2.492 -1.463 0.909
H2 -3.080 0.275 0.442
H3 -0.035 -1.344 1.909
H4 0.449 1.423 2.215
H5 1.230 -1.186 -2.827
H6 2.708 -0.441 -2.196
H7 1.662 1.605 -2.609

Output
- strongest force on any atom (eV Å⁻¹) = 3.766
- SMILES string = NC(=O)[C@H](O)C#CCO
- highest occupied orbital energy (eV) = -9.8


Density functional theory data (ωB97M-V/def2-TZVPD) for a molecular structure, C5H7NO3S.

Cartesian coordinates (Å):
C1 -1.339 -0.200 0.165
C2 -0.555 -1.308 0.007
C3 -2.740 -0.425 0.161
C4 0.744 0.850 0.395
C5 1.247 -0.450 -0.340
N1 -0.609 1.018 0.024
O1 -3.153 -1.563 0.241
O2 -3.662 0.592 0.149
O3 -0.870 -2.546 -0.262
S1 2.644 -1.278 0.402
H1 0.779 0.742 1.441
H2 1.278 1.657 0.023
H3 1.319 -0.357 -1.356
H4 -3.161 1.367 0.421
H5 -0.970 1.876 0.412
H6 -1.769 -2.754 -0.114
H7 2.970 -2.092 -0.650

Output
- strongest force on any atom (eV Å⁻¹) = 5.907
- highest occupied orbital energy (eV) = -8.1


Density functional theory data (ωB97M-V/def2-TZVPD) for a molecular structure, C5H7NO4.

Cartesian coordinates (Å):
O1 -1.945 -2.300 0.739
C1 -1.749 -1.261 0.153
C2 -0.375 -0.786 -0.167
N1 0.757 -1.693 0.006
C3 0.639 -0.587 0.919
C4 1.529 0.590 0.596
O2 1.237 0.985 -0.746
C5 -0.163 0.232 -1.261
O3 -0.347 0.009 -2.431
H1 -2.583 -0.671 -0.277
H2 0.422 -2.556 0.435
H3 0.333 -0.752 1.954
H4 1.277 1.426 1.262
H5 2.593 0.333 0.685
O4 -0.798 2.365 -1.016
H6 0.389 2.365 -0.697
H7 -1.216 2.301 -0.151

Output
- strongest force on any atom (eV Å⁻¹) = 4.727
- highest occupied orbital energy (eV) = -10.3


Density functional theory data (ωB97M-V/def2-TZVPD) for 2 unconnected molecules or ions with the total composition C5H7NO4.

Cartesian coordinates (Å):
N1 1.810 -1.685 -0.270
C1 1.343 -0.765 -0.796
C2 0.629 0.261 -1.556
O1 0.654 1.565 -1.037
C3 -0.593 0.919 -1.036
C4 -1.135 0.524 0.310
O2 -0.438 0.531 1.302
C5 -2.578 0.110 0.373
O3 -2.927 -0.401 1.618
H1 0.737 0.169 -2.641
H2 -1.321 1.272 -1.773
H3 -2.765 -0.631 -0.424
H4 -3.177 1.004 0.111
H5 -2.199 -0.233 2.232
O4 4.378 -0.843 1.189
H6 3.729 -0.141 1.351
H7 3.853 -1.656 1.048

Output
- strongest force on any atom (eV Å⁻¹) = 1.431
- SMILES string = N#C[C@@H]1O[C@@H]1C(=O)CO.O
- highest occupied orbital energy (eV) = -10.9


Density functional theory data (ωB97M-V/def2-TZVPD) for C5H7NOS in the gas phase.

Cartesian coordinates (Å):
C1 -2.494 0.076 1.539
C2 -2.547 0.261 -0.766
C3 -0.324 0.091 -0.010
C4 2.121 0.779 -0.091
C5 1.065 -0.247 -0.514
N1 -2.954 0.076 0.398
O1 -1.200 0.071 -1.053
S1 1.599 -1.825 0.289
H1 -2.274 -0.886 1.975
H2 -3.156 0.419 -1.587
H3 2.290 1.552 -0.852
H4 2.048 1.211 0.817
H5 3.088 0.343 -0.011
H6 1.205 -0.573 -1.594
H7 1.533 -1.348 1.460

Output
- strongest force on any atom (eV Å⁻¹) = 3.729
- - -
Surprisingly, the Staff Report concludes that these new fees would result in “[n]o revenue gain to the State …” I suspect consumers who will suffer a “revenue loss” from these fees would beg to differ.
The recommendations for both the insurance and electricity markets are based on the assumption that consumers can’t take care of themselves, so the government must do it for them.
This simply isn’t the case. Consumers regularly make complicated and expensive decisions without the government’s help – cell phones, computers, and other electronic devices are just a few examples.
When the Sunset Advisory Commission members vote on these recommendations on July 6, they should remember that consumers are sovereign in a free market. If they don’t like the choices one company is offering, they can simply make their purchases elsewhere.
Bill Peacock is the Director for the Center for Economic Freedom with the Texas Public Policy Foundation, a non-profit, free-market research institute based in Austin.